Entries:
/*
# Be2InAuI | the Alexandria database | PBE | optimized geometry
# Total energy (eV per cell): -10.4
# M_tot (μB/cell): 0.00
data_Be2InAuI
_cell_length_a 4.580
_cell_length_b 4.580
_cell_length_c 6.366
_cell_angle_alpha 90.00
_cell_angle_beta 90.00
_cell_angle_gamma 90.00
_symmetry_space_group_name_H-M 'P 1'
_symmetry_Int_Tables_number 1
loop_
_symmetry_equiv_pos_as_xyz
'x,y,z'
loop_
_atom_site_label
_atom_site_fract_x
_atom_site_fract_y
_atom_site_fract_z
Be1 0.000 0.500 0.000
Be2 0.500 0.000 0.000
In1 0.000 0.000 0.000
Au1 0.500 0.500 0.500
I1 0.000 0.000 0.500


AlCoO2 | PBE+U | relaxed

The value obtained for the final energy is -6.540 eV per atom. The value obtained for the theoretical density is 4.946 Mg/m³. Its density of states at the Fermi level is 5.01 states/eV per cell.

The structure belongs to space group R-3m (No. 166, hexagonal axes); the cell edges are 2.8232, 2.8232 and 17.2059 Å and the angles 90.00°, 90.00° and 120.00°. Symmetry generates all atoms from Al at (0.0000, 0.0000, 0.0000), Co at (0.0000, 0.0000, 0.5000) and O at (0.0000, 0.0000, 0.3902).


# 1
A plane-wave DFT calculation with GGA-PBEsol was carried out for a relaxed HfP crystal. Values from VASP.

Properties
Energy of formation from the pure elements ... -1.36 eV per atom
Calculated volume ... 140 Å³/cell
Space-group type ... P6_3/mmc (194)

Structure (Quantum ESPRESSO input):
```
&SYSTEM
  ibrav = 0, nat = 8, ntyp = 2
/
ATOMIC_SPECIES
Hf 178.49 Hf.upf
P 30.97 P.upf
ATOMIC_POSITIONS crystal
Hf 0.333 0.667 0.116
Hf 0.333 0.667 0.384
Hf 0.667 0.333 0.616
Hf 0.667 0.333 0.884
P 0.000 0.000 0.000
P 0.000 0.000 0.500
P 0.333 0.667 0.750
P 0.667 0.333 0.250
CELL_PARAMETERS angstrom
3.624 0.000 0.000
-1.812 3.138 0.000
0.000 0.000 12.296
```


# 2
A plane-wave DFT calculation with GGA-PBEsol was carried out for a relaxed TlSbS2 crystal. Values from VASP.

Properties
Calculated volume ... 208 Å³/cell
Raw formation energy ... -0.312 eV per atom
Space-group type ... P-1 (2)

Structure (Quantum ESPRESSO input):
```
&SYSTEM
  ibrav = 0, nat = 8, ntyp = 3
/
ATOMIC_SPECIES
Tl 204.38 Tl.upf
Sb 121.76 Sb.upf
S 32.06 S.upf
ATOMIC_POSITIONS crystal
Tl 0.129 0.355 0.215
Tl 0.871 0.645 0.785
Sb 0.347 0.080 0.781
Sb 0.653 0.920 0.219
S 0.040 0.829 0.252
S 0.412 0.716 0.673
S 0.588 0.284 0.327
S 0.960 0.171 0.748
CELL_PARAMETERS angstrom
6.029 0.000 0.000
0.179 6.150 0.000
2.410 1.684 5.619
```


# 3
A plane-wave DFT calculation with GGA-PBEsol was carried out for a relaxed SbPt2F crystal. Values from VASP.

Properties
Calculated volume ... 61 Å³/cell
Raw formation energy ... -0.385 eV per atom
Space-group type ... Fm-3m (225)

Structure (Quantum ESPRESSO input):
```
&SYSTEM
  ibrav = 0, nat = 4, ntyp = 3
/
ATOMIC_SPECIES
Sb 121.76 Sb.upf
Pt 195.08 Pt.upf
F 19.00 F.upf
ATOMIC_POSITIONS crystal
Sb 0.000 0.000 0.000
Pt 0.250 0.250 0.250
Pt 0.750 0.750 0.750
F 0.500 0.500 0.500
CELL_PARAMETERS angstrom
0.000 3.121 3.121
3.121 0.000 3.121
3.121 3.121 0.000
```


# 4
A plane-wave DFT calculation with GGA-PBEsol was carried out for a relaxed SrAgH3 crystal. Values from VASP.

Properties
Calculated total energy ... -16.45 eV/cell
Calculated volume ... 59 Å³/cell
Space-group type ... Pm-3m (221)

Structure (Quantum ESPRESSO input):
```
&SYSTEM
  ibrav = 0, nat = 5, ntyp = 3
/
ATOMIC_SPECIES
Sr 87.62 Sr.upf
Ag 107.87 Ag.upf
H 1.01 H.upf
ATOMIC_POSITIONS crystal
Sr 0.000 0.000 0.000
Ag 0.500 0.500 0.500
H 0.000 0.500 0.500
H 0.500 0.000 0.500
H 0.500 0.500 0.000
CELL_PARAMETERS angstrom
3.899 0.000 0.000
0.000 3.899 0.000
0.000 0.000 3.899
```


# 5
A plane-wave DFT calculation with GGA-PBEsol was carried out for a relaxed ZnCoCl2 crystal. Values from VASP.

Properties
Calculated volume ... 69 Å³/cell
Distance to the lowest polymorph of the same formula ... 158 meV per atom
Raw formation energy ... -0.061 eV per atom
Space-group type ... P4mm (99)

Structure (Quantum ESPRESSO input):
```
&SYSTEM
  ibrav = 0, nat = 4, ntyp = 3
/
ATOMIC_SPECIES
Zn 65.41 Zn.upf
Co 58.93 Co.upf
*/
Wanted:
Next, write out only the lines further up with the word "database" in them.
Written answer:
# Be2InAuI | the Alexandria database | PBE | optimized geometry